Please type out all of the lines further below character by character.

No. 1
For Rb2VO2F4, a structure optimized by DFT (PBE+U) gives the calculated powder XRD pattern in this record (CuKα).
Intensities are scaled so that the largest is 100.

Crystal structure
a b c (Å): 8.5382 8.7689 9.2961
angles (deg): 90.00 90.00 90.00
Space group Cmcm (No. 63)
Unique sites:
Rb  0.2478  0.0000  0.0000 (multiplicity 8)
V  0.0000  0.2536  0.2500 (multiplicity 4)
O  0.0000  0.0625  0.2500 (multiplicity 4)
O  0.0000  0.4796  0.2500 (multiplicity 4)
F  0.0000  0.2627  0.0456 (multiplicity 8)
F  0.2155  0.2898  0.2500 (multiplicity 8)

Main lines, in order of rising 2θ (2θ = 5–70°):
| 2theta | intensity | hkl |
| --- | --- | --- |
| 17.35 | 86 | 1 1 1 |
| 27.98 | 77 | 0 2 2 |
| 28.39 | 67 | 2 0 2 |
| 29.20 | 73 | 2 2 0 |
| 35.12 | 100 | 2 2 2 |
| 38.75 | 39 | 0 0 4 |
| 41.18 | 29 | 0 4 0 |
| 42.34 | 33 | 4 0 0 |
| 49.24 | 27 | 2 2 4 |
| 50.77 | 26 | 2 4 2 |

---

No. 2
For Na3MnO3, a structure optimized by DFT (PBE+U) gives the calculated powder XRD pattern in this record (CuKα).
Intensities are scaled so that the largest is 100.

Crystal structure
a b c (Å): 5.9095 12.4770 6.3590
angles (deg): 90.00 121.57 90.00
Space group P2_1/c (No. 14)
Unique sites:
Na  0.0335  0.0163  0.2540 (multiplicity 4)
Na  0.0616  0.2214  0.8608 (multiplicity 4)
Na  0.4380  0.0995  0.7893 (multiplicity 4)
Mn  0.4094  0.6593  0.1720 (multiplicity 4)
O  0.0427  0.6306  0.9948 (multiplicity 4)
O  0.3078  0.0659  0.1142 (multiplicity 4)
O  0.4554  0.7316  0.9313 (multiplicity 4)

Main lines, in order of rising 2θ (2θ = 5–70°):
| 2theta | intensity | hkl |
| --- | --- | --- |
| 21.92 | 100 | 1 2 -1 |
| 27.03 | 32 | 0 3 1 |
| 33.27 | 49 | 1 4 -1 |
| 33.60 | 49 | 2 0 -2 |
| 33.83 | 67 | 1 4 0 |
| 35.67 | 46 | 2 0 0 |
| 37.04 | 35 | 1 3 1 |
| 40.52 | 77 | 1 4 -2 |
| 41.89 | 30 | 1 4 1 |
| 46.27 | 35 | 2 2 -3 |

----------

Simulated powder X-ray diffraction pattern
Compound: NaAcSn2I8
Radiation: copper Kα
Structure: a DFT-relaxed cell (GGA-PBE, Alexandria)

Cell and atoms:
Lattice parameters (Å, degrees): 7.385 9.502 7.857 90.00 91.10 90.00
Fractional coordinates of all 12 atoms:
Na1 0.000 0.000 0.000
Ac1 0.000 0.500 0.000
Sn1 0.500 0.237 0.500
Sn2 0.500 0.763 0.500
I1 0.249 0.245 0.159
I2 0.249 0.755 0.159
I3 0.252 0.500 0.659
I4 0.264 0.000 0.650
I5 0.736 0.000 0.350
I6 0.748 0.500 0.341
I7 0.751 0.245 0.841
I8 0.751 0.755 0.841

Peak list (10 most intense, 5° ≤ 2θ ≤ 70°, by angle)
Position (°2θ)  I/Imax
16.3  48.5
16.6  43.6
24.9  93.8
25.1  100.0
25.5  57.6
25.9  57.6
32.6  80.3
32.9  94.5
37.9  51.6
39.3  93.2

----------

Starting from a DFT-relaxed cell (GGA-PBE, Alexandria), the powder diffractogram of Tb4PrAs5 was computed for Cu Kα X-rays.

Cell and atoms:
```
data_Tb4PrAs5
_symmetry_space_group_name_H-M 'I m m m'
_symmetry_Int_Tables_number 71
_symmetry_space_group_name_Hall '-I 2 2'
_cell_length_a 4.175
_cell_length_b 5.904
_cell_length_c 20.862
_cell_angle_alpha 90.00
_cell_angle_beta 90.00
_cell_angle_gamma 90.00
loop_
_atom_site_label
_atom_site_type_symbol
_atom_site_fract_x
_atom_site_fract_y
_atom_site_fract_z
Tb1 Tb 0.000 0.000 0.101
Tb2 Tb 0.000 0.000 0.298
Pr1 Pr 0.000 0.000 0.500
As1 As 0.000 0.500 0.104
As2 As 0.000 0.500 0.300
As3 As 0.000 0.500 0.500
```

Peak list (8 most intense, 2θ from 10° to 90°, sorted by position)
- 2θ 26.1, I = 21
- 2θ 30.3, I = 100
- 2θ 43.4, I = 75
- 2θ 51.3, I = 10
- 2θ 53.8, I = 26
- 2θ 63.0, I = 12
- 2θ 71.5, I = 33
- 2θ 79.6, I = 25

Starting from a DFT-relaxed cell (GGA-PBE, Alexandria), the powder diffractogram of Pr4Te3As was computed for Cu Kα X-rays.

Cell and atoms:
```
data_Pr4Te3As
_symmetry_space_group_name_H-M 'C m m m'
_symmetry_Int_Tables_number 65
_symmetry_space_group_name_Hall '-C 2 2'
_cell_length_a 9.068
_cell_length_b 12.695
_cell_length_c 4.434
_cell_angle_alpha 90.00
_cell_angle_beta 90.00
_cell_angle_gamma 90.00
loop_
_atom_site_label
_atom_site_type_symbol
_atom_site_fract_x
_atom_site_fract_y
_atom_site_fract_z
Pr1 Pr 0.000 0.235 0.000
Pr2 Pr 0.225 0.000 0.500

No. 1
For Rb2VO2F4, a structure optimized by DFT (PBE+U) gives the calculated powder XRD pattern in this record (CuKα).
Intensities are scaled so that the largest is 100.

Crystal structure
a b c (Å): 8.5382 8.7689 9.2961
angles (deg): 90.00 90.00 90.00
Space group Cmcm (No. 63)
Unique sites:
Rb  0.2478  0.0000  0.0000 (multiplicity 8)
V  0.0000  0.2536  0.2500 (multiplicity 4)
O  0.0000  0.0625  0.2500 (multiplicity 4)
O  0.0000  0.4796  0.2500 (multiplicity 4)
F  0.0000  0.2627  0.0456 (multiplicity 8)
F  0.2155  0.2898  0.2500 (multiplicity 8)

Main lines, in order of rising 2θ (2θ = 5–70°):
| 2theta | intensity | hkl |
| --- | --- | --- |
| 17.35 | 86 | 1 1 1 |
| 27.98 | 77 | 0 2 2 |
| 28.39 | 67 | 2 0 2 |
| 29.20 | 73 | 2 2 0 |
| 35.12 | 100 | 2 2 2 |
| 38.75 | 39 | 0 0 4 |
| 41.18 | 29 | 0 4 0 |
| 42.34 | 33 | 4 0 0 |
| 49.24 | 27 | 2 2 4 |
| 50.77 | 26 | 2 4 2 |

---

No. 2
For Na3MnO3, a structure optimized by DFT (PBE+U) gives the calculated powder XRD pattern in this record (CuKα).
Intensities are scaled so that the largest is 100.

Crystal structure
a b c (Å): 5.9095 12.4770 6.3590
angles (deg): 90.00 121.57 90.00
Space group P2_1/c (No. 14)
Unique sites:
Na  0.0335  0.0163  0.2540 (multiplicity 4)
Na  0.0616  0.2214  0.8608 (multiplicity 4)
Na  0.4380  0.0995  0.7893 (multiplicity 4)
Mn  0.4094  0.6593  0.1720 (multiplicity 4)
O  0.0427  0.6306  0.9948 (multiplicity 4)
O  0.3078  0.0659  0.1142 (multiplicity 4)
O  0.4554  0.7316  0.9313 (multiplicity 4)

Main lines, in order of rising 2θ (2θ = 5–70°):
| 2theta | intensity | hkl |
| --- | --- | --- |
| 21.92 | 100 | 1 2 -1 |
| 27.03 | 32 | 0 3 1 |
| 33.27 | 49 | 1 4 -1 |
| 33.60 | 49 | 2 0 -2 |
| 33.83 | 67 | 1 4 0 |
| 35.67 | 46 | 2 0 0 |
| 37.04 | 35 | 1 3 1 |
| 40.52 | 77 | 1 4 -2 |
| 41.89 | 30 | 1 4 1 |
| 46.27 | 35 | 2 2 -3 |

----------

Simulated powder X-ray diffraction pattern
Compound: NaAcSn2I8
Radiation: copper Kα
Structure: a DFT-relaxed cell (GGA-PBE, Alexandria)

Cell and atoms:
Lattice parameters (Å, degrees): 7.385 9.502 7.857 90.00 91.10 90.00
Fractional coordinates of all 12 atoms:
Na1 0.000 0.000 0.000
Ac1 0.000 0.500 0.000
Sn1 0.500 0.237 0.500
Sn2 0.500 0.763 0.500
I1 0.249 0.245 0.159
I2 0.249 0.755 0.159
I3 0.252 0.500 0.659
I4 0.264 0.000 0.650
I5 0.736 0.000 0.350
I6 0.748 0.500 0.341
I7 0.751 0.245 0.841
I8 0.751 0.755 0.841

Peak list (10 most intense, 5° ≤ 2θ ≤ 70°, by angle)
Position (°2θ)  I/Imax
16.3  48.5
16.6  43.6
24.9  93.8
25.1  100.0
25.5  57.6
25.9  57.6
32.6  80.3
32.9  94.5
37.9  51.6
39.3  93.2

----------

Starting from a DFT-relaxed cell (GGA-PBE, Alexandria), the powder diffractogram of Tb4PrAs5 was computed for Cu Kα X-rays.

Cell and atoms:
```
data_Tb4PrAs5
_symmetry_space_group_name_H-M 'I m m m'
_symmetry_Int_Tables_number 71
_symmetry_space_group_name_Hall '-I 2 2'
_cell_length_a 4.175
_cell_length_b 5.904
_cell_length_c 20.862
_cell_angle_alpha 90.00
_cell_angle_beta 90.00
_cell_angle_gamma 90.00
loop_
_atom_site_label
_atom_site_type_symbol
_atom_site_fract_x
_atom_site_fract_y
_atom_site_fract_z
Tb1 Tb 0.000 0.000 0.101
Tb2 Tb 0.000 0.000 0.298
Pr1 Pr 0.000 0.000 0.500
As1 As 0.000 0.500 0.104
As2 As 0.000 0.500 0.300
As3 As 0.000 0.500 0.500
```

Peak list (8 most intense, 2θ from 10° to 90°, sorted by position)
- 2θ 26.1, I = 21
- 2θ 30.3, I = 100
- 2θ 43.4, I = 75
- 2θ 51.3, I = 10
- 2θ 53.8, I = 26
- 2θ 63.0, I = 12
- 2θ 71.5, I = 33
- 2θ 79.6, I = 25

Starting from a DFT-relaxed cell (GGA-PBE, Alexandria), the powder diffractogram of Pr4Te3As was computed for Cu Kα X-rays.

Cell and atoms:
```
data_Pr4Te3As
_symmetry_space_group_name_H-M 'C m m m'
_symmetry_Int_Tables_number 65
_symmetry_space_group_name_Hall '-C 2 2'
_cell_length_a 9.068
_cell_length_b 12.695
_cell_length_c 4.434
_cell_angle_alpha 90.00
_cell_angle_beta 90.00
_cell_angle_gamma 90.00
loop_
_atom_site_label
_atom_site_type_symbol
_atom_site_fract_x
_atom_site_fract_y
_atom_site_fract_z
Pr1 Pr 0.000 0.235 0.000
Pr2 Pr 0.225 0.000 0.500